**What to do:**
What is needed: count the lines further down that contain the word "No" and give the number alone.

**Listing:**
-- begin --
## Li5Fe7O3F13 (GGA+U)

Data for an optimized crystal structure of Li5Fe7O3F13.

- excess energy over the best structure of this formula in the dataset (eV per atom) = 0.481
- symmetry = P1, No. 1
- total magnetization (μB/atom) = 0.14

a b c (Å): 5.495 5.903 11.984
angles (deg): 77.72 78.91 67.69
Element x y z (fractional)
Li 0.000 0.000 0.000
Li 0.018 0.722 0.832
Li 0.100 0.591 0.215
Li 0.197 0.028 0.523
Li 0.480 0.882 0.856
Fe 0.394 0.010 0.152
Fe 0.428 0.428 0.616
Fe 0.464 0.679 0.368
Fe 0.507 0.372 0.926
Fe 0.727 0.532 0.086
Fe 0.900 0.607 0.500
Fe 0.906 0.357 0.760
O 0.417 0.673 0.209
O 0.507 0.716 0.519
O 0.786 0.536 0.906
F 0.070 0.309 0.167
F 0.077 0.864 0.415
F 0.234 0.709 0.942
F 0.291 0.342 0.488
F 0.310 0.155 0.734
F 0.316 0.108 0.973
F 0.476 0.532 0.758
F 0.595 0.256 0.091
F 0.813 0.064 0.862
F 0.843 0.803 0.111
F 0.853 0.554 0.344
F 0.864 0.249 0.611
F 0.999 0.646 0.661


VASP calculation (PBE) on a relaxed CsRhBr2Cl crystal.

a = 5.2584 Å, b = 5.2584 Å, c = 5.0107 Å
α = 90.00°, β = 90.00°, γ = 90.00°
Last column: nearest neighbours and their distance in Å.
Element x y z (fractional)
1 Rh 0.0000 0.0000 0.0000  2 Cl 2.51, 4 Br 2.63
2 Cs 0.5000 0.5000 0.5000  8 Br 3.63, 4 Cl 3.72
3 Br 0.0000 0.5000 0.0000  2 Rh 2.63
4 Br 0.5000 0.0000 0.0000  2 Rh 2.63
5 Cl 0.0000 0.0000 0.5000  2 Rh 2.51

Summary:
DFT total energy in eV per cell: -17.58
Total moment in μB per formula unit: 0.00


VASP calculation (PBE) on a relaxed Cs2RuBrCl5 crystal.

a = 7.4821 Å, b = 7.4821 Å, c = 7.4821 Å
α = 91.28°, β = 119.26°, γ = 119.26°
Last column: nearest neighbours and their distance in Å.
Element x y z (fractional)
1 Cl 0.5592 0.7811 0.7811  1 Ru 2.36
2 Cl 0.0000 0.2275 0.2275  1 Ru 2.36
3 Cl 0.0000 0.7811 0.2220  1 Ru 2.36
4 Cl 0.0000 0.2220 0.7811  1 Ru 2.36
5 Cl 0.4408 0.2220 0.2220  1 Ru 2.36
6 Br 0.0000 0.7618 0.7618  1 Ru 2.51
7 Ru 0.0000 0.0016 0.0016  5 Cl 2.36, 1 Br 2.51
8 Cs 0.5000 0.7515 0.2515  10 Cl 3.75-3.79, 2 Br 3.78
9 Cs 0.5000 0.2515 0.7515  10 Cl 3.75-3.79, 2 Br 3.78

Summary:
DFT total energy in eV per cell: -32.77
Total moment in μB per formula unit: 2.00


Number 1: uncorrected formation energy -0.837 eV per atom. Number 2: uncorrected formation energy -1.209 eV per atom.
-- stop --

**Result:**
1